President Obama’s Poor Foreign Policy Judgment on Syria

_Inserted here: records of crystals_
1.
# BaMgCo4O8
Theoretical X-ray powder pattern, a wavelength of 1.5418 Å. Input: a DFT-relaxed cell (PBE+U, Alexandria).
Peak positions follow from Bragg's law for the DFT cell and can differ from measured ones.

Largest 10 diffraction maxima, in order of rising 2θ, 2θ = 15–90°:
| h k l | 2theta | I (rel.) |
| --- | --- | --- |
| 1 0 1 | 22.80 | 24.3 |
| 1 0 2 | 31.20 | 100.0 |
| 1 1 0 | 33.69 | 90.8 |
| 2 -1 1 | 35.92 | 30.0 |
| 2 0 2 | 46.58 | 34.6 |
| 2 1 2 | 58.71 | 33.2 |
| 3 0 0 | 60.26 | 27.2 |
| 2 -1 4 | 61.48 | 38.7 |
| 4 -1 2 | 79.43 | 12.8 |
| 3 0 4 | 81.87 | 14.0 |

```
data_BaMgCo4O8
_cell_length_a 5.3200
_cell_length_b 5.3200
_cell_length_c 7.3240
_cell_angle_alpha 90.00
_cell_angle_beta 90.00
_cell_angle_gamma 120.00
_symmetry_space_group_name_H-M 'P -3 1 m'
_symmetry_Int_Tables_number 162
_symmetry_space_group_name_Hall '-P 3 2'
loop_
_atom_site_label
_atom_site_fract_x
_atom_site_fract_y
_atom_site_fract_z
_atom_site_occupancy
Ba1 0.0000 0.0000 0.0000 1
Mg1 0.0000 0.0000 0.5000 1
Co1 0.3333 0.6667 0.2533 1
O1 0.0000 0.3178 0.3218 1
O2 0.3333 0.6667 0.0000 1
```

2.
# BaMgCoO3
Theoretical X-ray powder pattern, a wavelength of 1.5418 Å. Input: a DFT-relaxed cell (PBE+U, Alexandria).
Peak positions follow from Bragg's law for the DFT cell and can differ from measured ones.

Largest 10 diffraction maxima, in order of rising 2θ, 2θ = 15–90°:
| h k l | 2theta | I (rel.) |
| --- | --- | --- |
| 1 1 0 | 17.88 | 10.1 |
| 1 1 1 | 23.93 | 35.3 |
| 2 0 0 | 31.86 | 54.7 |
| 1 3 1 | 33.99 | 100.0 |
| 2 2 0 | 36.22 | 25.1 |
| 2 0 2 | 45.68 | 33.7 |
| 2 4 0 | 47.22 | 11.6 |
| 3 3 1 | 58.14 | 48.2 |
| 2 6 0 | 62.19 | 17.2 |
| 3 3 3 | 76.90 | 13.3 |

```
data_BaMgCoO3
_cell_length_a 5.6189
_cell_length_b 10.5724
_cell_length_c 5.6160
_cell_angle_alpha 90.00
_cell_angle_beta 90.00
_cell_angle_gamma 90.00
_symmetry_space_group_name_H-M 'C m c m'
_symmetry_Int_Tables_number 63
_symmetry_space_group_name_Hall '-C 2c 2'
loop_
_atom_site_label
_atom_site_fract_x
_atom_site_fract_y
_atom_site_fract_z
_atom_site_occupancy
Ba1 0.0000 0.2380 0.2500 1
Mg1 0.0000 0.4448 0.7500 1
Co1 0.0000 0.0625 0.7500 1
O1 0.0000 0.2546 0.7500 1
O2 0.2504 0.0000 0.0000 1
```

3.
# Ba2Mg2Tl2Co3O10
Theoretical X-ray powder pattern, a wavelength of 1.5418 Å. Input: a DFT-relaxed cell (PBE+U, Alexandria).
Peak positions follow from Bragg's law for the DFT cell and can differ from measured ones.

Largest 10 diffraction maxima, in order of rising 2θ, 2θ = 15–90°:
| h k l | 2theta | I (rel.) |
| --- | --- | --- |
| 0 1 -3 | 26.00 | 40.4 |
| 1 0 -3 | 26.18 | 34.3 |
| 0 1 3 | 28.79 | 98.5 |
| 1 0 -4 | 28.95 | 100.0 |
| 1 -1 0 | 32.22 | 97.5 |
| 1 0 4 | 32.31 | 29.2 |
| 1 1 -1 | 32.86 | 61.3 |
| 0 0 7 | 35.21 | 54.8 |
| 2 0 -1 | 46.92 | 28.7 |
| 1 1 6 | 48.93 | 26.8 |

```
data_Ba2Mg2Tl2Co3O10
_cell_length_a 3.8736
_cell_length_b 3.9076
_cell_length_c 18.0475
_cell_angle_alpha 96.04
_cell_angle_beta 96.07
_cell_angle_gamma 91.06
_symmetry_space_group_name_H-M 'P 1'
_Here the article continues_

04 September 2013 | 22:16 Code : 1920900 Latest Headlines

President Barack Obama delivers remarks about the ongoing situation in Syria in the Rose Garden of the White House on Aug. 31, 2013 in Washington.

This President has shown a unique ability to make the correct foreign policy judgments in the worst possible way.

Barack Obama has had a very embarrassing time of it over Syria — and the trouble stems from a problem I’ve written about before: he continues to make pronouncements that he doesn’t really intend to carry out. His “Mubarak must go” was the start — and he got lucky there, since Hosni Mubarak went as a result of the Egyptians wanting him to go. He was also lucky with “Gaddafi must go,” achieving the desired result with a maximum of international support and a minimum of U.S. force. “Assad must go” hasn’t worked so well, and chemical weapons as a “redline” has been an absolute disaster for American — read: Obama’s — credibility, compounded by subsequent statements like “a shot across the bow.”

Some lessons from the debacle:

Someone pasted records of crystals at this point =
=====
1.
Structure and simulated X-ray diffraction stick pattern of Pm3PrGe4 (a crystal structure in Alexandria, relaxed with PBE; CuKα).

Largest 12 diffraction maxima, in order of falling intensity, 10° ≤ 2θ ≤ 90°:
2θ 28.0, intensity 100, (1 1 2)
2θ 35.0, intensity 32, (0 2 4)
2θ 38.9, intensity 26, (1 2 3)
2θ 33.9, intensity 24, (1 1 4)
2θ 35.2, intensity 21, (1 0 5)
2θ 44.4, intensity 20, (2 0 0)
2θ 66.6, intensity 20, (1 3 8)
2θ 48.4, intensity 19, (1 3 2)
2θ 30.5, intensity 17, (0 1 5)
2θ 57.8, intensity 15, (2 2 4)
2θ 32.9, intensity 14, (0 0 6)
2θ 27.1, intensity 13, (0 2 0)

```
data_Pm3PrGe4
_chemical_formula_sum 'Pm6 Pr2 Ge8'
_cell_length_a 4.078
_cell_length_b 6.579
_cell_length_c 16.356
_cell_angle_alpha 90.00
_cell_angle_beta 90.00
_cell_angle_gamma 90.00
_symmetry_space_group_name_H-M 'I m m m'
_symmetry_Int_Tables_number 71
_symmetry_space_group_name_Hall '-I 2 2'
loop_
_atom_site_label
_atom_site_fract_x
_atom_site_fract_y
_atom_site_fract_z
Pm1 0.000 0.000 0.000
Pm2 0.000 0.500 0.197
Pr1 0.000 0.000 0.500
Ge1 0.000 0.311 0.368
```



2.
Structure and simulated X-ray diffraction stick pattern of Er3C2 (a crystal structure in Alexandria, relaxed with PBE; CuKα).

Largest 12 diffraction maxima, in order of falling intensity, 10° ≤ 2θ ≤ 90°:
2θ 33.1, intensity 100, (1 1 3)
2θ 30.8, intensity 25, (0 0 6)
2θ 56.2, intensity 22, (1 1 9)
2θ 61.4, intensity 20, (3 0 6)
2θ 51.7, intensity 19, (3 0 0)
2θ 29.1, intensity 19, (1 1 0)
2θ 42.9, intensity 19, (1 1 6)
2θ 62.7, intensity 14, (2 2 3)
2θ 85.5, intensity 11, (4 1 3)
2θ 86.8, intensity 9, (3 0 12)
2θ 79.8, intensity 7, (2 2 9)
2θ 69.3, intensity 4, (2 2 6)

```
data_Er3C2
_chemical_formula_sum 'Er18 C12'
_cell_length_a 6.1286
_cell_length_b 6.1286
_cell_length_c 17.4200
_cell_angle_alpha 90.00
_cell_angle_beta 90.00
_cell_angle_gamma 120.00
_symmetry_space_group_name_H-M 'R -3 c'
_symmetry_Int_Tables_number 167
_symmetry_space_group_name_Hall '-R 3 2"c'
loop_
_atom_site_label
_atom_site_fract_x
_atom_site_fract_y
_atom_site_fract_z
Er1 0.0000 0.3128 0.2500
C1 0.0000 0.0000 0.1559
```

=====

Entry 1:
This entry pairs a crystal structure of EuIn2Se4 with its computed powder diffraction line list. Radiation: Cu Kα (weighted mean of Kα1 and Kα2). Structure: a structure optimized by DFT (PBE).
Kinematic intensities with the Lorentz-polarization factor, no thermal factor.

Structural model:
```
14
Lattice="3.428 -5.448 0.000 3.428 5.448 0.000 0.000 0.000 11.036" Properties=species:S:1:pos:R:3 pbc="T T T"
Eu 0.000 0.000 2.759
Eu 0.000 0.000 8.277
In 3.405 2.444 0.000
In 3.451 2.444 5.518
In 3.405 -2.444 5.518
In 3.451 -2.444 0.000
Se 1.714 2.724 2.016
Se 1.714 2.724 9.021
Se 1.471 0.750 5.518
Se 1.471 -0.750 0.000
Se 1.714 -2.724 3.502
Se 1.714 -2.724 7.534
Se 5.385 0.750 0.000
Se 5.385 -0.750 5.518
```

Main lines, by intensity (2θ from 5° to 70°):
34.94°, I = 100
32.45°, I = 26
15.27°, I = 24
28.97°, I = 24
22.23°, I = 24
28.73°, I = 23
27.80°, I = 20
32.88°, I = 20
46.74°, I = 15
=====

1. In my lifetime, “American credibility” has gotten more people — including American troops — needlessly killed than any other factor. It was why Lyndon Johnson stayed, and then amped up, in Vietnam. It was a good part of what led George W. Bush to jump foolishly into Iraq; and, after pronouncing Afghanistan “the good war,” it was what led Obama to take the wrong course there. So here’s a basic rule: whenever you hear politicians or pundits saying, “American credibility is at stake,” just say no.


2. A Chinese principle: the strongest person in the room says the least. The President of the United States is the strongest person, militarily, in the world. He doesn’t need to broadcast his intentions. He takes action, or not. He does what the Israelis did in taking out the Syrian nuclear reactor: he just does it, without advance bluster, without taking credit if possible — although it would be much harder for the U.S. to remain silent than it was for the Israelis. But it would be nice: silence, or saying very little, after the successful use of force engenders fear and respect. The direct opposite of that is talking and dithering, which the Administration has made a specialty. The wolf doesn’t need to cry wolf. The American eagle should stand for restrained moral power — power that is absolutely lethal and purposeful when it is unleashed … but is never unleashed wantonly or without a precise plan and purpose.

3. As for congressional action, let me propose a bright line: if you’re going to send an invasion force into another country, you need to get a declaration of war — that’s what the Constitution says — and we need a full-throated debate before we send American troops into harm’s way. If you’re going to make a targeted, onetime response — as Bill Clinton did with Iraq and al-Qaeda during his presidency — you do it quickly, stealthily and sort it out with Congress afterward. But a very huge caveat: those sorts of limited attacks, like the one apparently contemplated by Obama in Syria, are almost always ineffective and often lead to disastrous consequences. As Ryan Crocker, the retired U.S. diplomat with the most knowledge and experience in the region, recently posed: What happens if, after our notional attack on Syria, Bashar Assad decides to send his own message by an even greater use of chemical weapons against, say, Aleppo?

=====
# CaTi2O4
Theoretical powder diffraction line list, λ = 1.5418 Å (Cu Kα). Input: a structure optimized by DFT (GGA-PBE).
Peak positions follow from Bragg's law for the DFT cell and can differ from measured ones.

Structure:
Cell lengths 6.2548, 6.2548, 15.5541 Å; angles 90.00, 90.00, 120.00 degrees
Atoms (fractional coordinates):
1 Ca 0.0000 0.0000 0.0000
2 Ca 0.0000 0.0000 0.2461
3 Ca 0.3333 0.6667 0.6656
4 Ca 0.6667 0.3333 0.3312
5 Ca 0.6667 0.3333 0.5849
6 Ca 0.6667 0.3333 0.9589
7 Ti 0.0000 0.0000 0.6171
8 Ti 0.0122 0.5061 0.1259
9 Ti 0.1654 0.3309 0.4575
10 Ti 0.1654 0.8346 0.4575
11 Ti 0.3205 0.1602 0.7858
12 Ti 0.3333 0.6667 0.2979
13 Ti 0.3333 0.6667 0.9085
14 Ti 0.4939 0.5061 0.1259
15 Ti 0.4939 0.9878 0.1259
16 Ti 0.6691 0.8346 0.4575
17 Ti 0.8398 0.1602 0.7858
18 Ti 0.8398 0.6795 0.7858
19 O 0.0000 0.0000 0.3899
20 O 0.0000 0.0000 0.8579
21 O 0.0084 0.5042 0.8628
22 O 0.0432 0.5216 0.3810
23 O 0.1430 0.2860 0.7080
24 O 0.1430 0.8570 0.7080
25 O 0.1930 0.3859 0.2066
26 O 0.1930 0.8070 0.2066
27 O 0.2917 0.1459 0.5341
28 O 0.3333 0.6667 0.0372
29 O 0.3333 0.6667 0.5233
30 O 0.3618 0.1809 0.0618
31 O 0.4784 0.5216 0.3810
32 O 0.4784 0.9568 0.3810
33 O 0.4958 0.5042 0.8628
34 O 0.4958 0.9916 0.8628
35 O 0.6141 0.8070 0.2066
36 O 0.6667 0.3333 0.1918
37 O 0.6667 0.3333 0.7268
38 O 0.7140 0.8570 0.7080
39 O 0.8191 0.1809 0.0618
40 O 0.8191 0.6382 0.0618
41 O 0.8541 0.1459 0.5341
42 O 0.8541 0.7083 0.5341

Largest 12 diffraction maxima, in order of rising 2θ, 10° ≤ 2θ ≤ 80°:
- 2θ = 17.34°, I = 30
- 2θ = 28.25°, I = 32
- 2θ = 28.54°, I = 29
- 2θ = 33.21°, I = 50
- 2θ = 33.46°, I = 100
- 2θ = 33.59°, I = 50
- 2θ = 40.59°, I = 62
- 2θ = 53.33°, I = 21
- 2θ = 53.59°, I = 36
- 2θ = 53.76°, I = 25
- 2θ = 58.43°, I = 51
- 2θ = 59.08°, I = 53

# CaTiO2
Theoretical powder diffraction line list, λ = 1.5418 Å (Cu Kα). Input: a structure optimized by DFT (GGA-PBE).
Peak positions follow from Bragg's law for the DFT cell and can differ from measured ones.

Structure:
Cell lengths 9.2384, 9.2384, 9.8663 Å; angles 121.47, 121.47, 19.21 degrees
Atoms (fractional coordinates):
1 Ca 0.0111 0.0111 0.2572
2 Ca 0.3467 0.3467 0.8496
3 Ca 0.6533 0.6533 0.1504
4 Ca 0.9889 0.9889 0.7428
5 Ti 0.1794 0.1794 0.8434
6 Ti 0.3019 0.3019 0.4717
7 Ti 0.6981 0.6981 0.5283
8 Ti 0.8206 0.8206 0.1566
9 O 0.1669 0.1669 0.3506
10 O 0.1833 0.1833 0.6491
11 O 0.2228 0.2228 0.0766
12 O 0.4064 0.4064 0.2047
13 O 0.5936 0.5936 0.7953
14 O 0.7772 0.7772 0.9234
15 O 0.8167 0.8167 0.3509
16 O 0.8331 0.8331 0.6494

Largest 12 diffraction maxima, in order of rising 2θ, 10° ≤ 2θ ≤ 80°:
- 2θ = 11.45°, I = 100
- 2θ = 17.98°, I = 27
- 2θ = 29.16°, I = 12
- 2θ = 32.08°, I = 16
- 2θ = 32.51°, I = 16
- 2θ = 34.79°, I = 58
- 2θ = 38.53°, I = 37
- 2θ = 40.09°, I = 16
- 2θ = 46.98°, I = 14
- 2θ = 50.80°, I = 14
- 2θ = 54.17°, I = 22
- 2θ = 60.00°, I = 12

# Ca2Ti3O8
Theoretical powder diffraction line list, λ = 1.5418 Å (Cu Kα). Input: a structure optimized by DFT (GGA-PBE).
=====


4. The big picture: whenever you look at a map of the region and see straight-line borders, you know the people living in those “countries” didn’t draw them. Europeans did. I know that there is an actual country called “Kurdistan” sitting smack in the middle of the area. I’m also certain that Iran, Egypt, Saudi Arabia and Israel are real places, the latter because it has willed itself into being over the course of the past 60 years. I’m not so sure about Iraq, Jordan, Syria (at least, not in its current borders), Libya or Lebanon. Some of those names may survive and some of those straight lines in the sand may continue as well, by mutual agreement, but we are entering a period of reorganization in the Middle East. Our role has to be limited since we don’t know very much about the intricacies of the region and, after several centuries of brutal colonialism, Westerners really have no moral place in the determination of what countries continue to exist or are reborn in different form.

5. We do have a moral responsibility to provide humanitarian assistance and try to limit the bloodshed through diplomacy. But the only time for us to intervene militarily is when we are threatened immediately and directly. (By the way, an Iranian nuclear weapon is neither a direct or immediate threat to the U.S. — and this was another example of Obama saying too much too soon: Iran’s nuclear arsenal, should it ever come to exist, certainly can be contained.)


6. The President’s decisionmaking in the region has, for the most part, been prudent and sound. He needs to be as prudent with his words as he has been with his actions, lest one of the real powers or troublemakers in the world — say, China — begins to assume weakness and decides to take advantage of it.